Friday, June 19, 2009

Dr. Vohan Kumar

Session 6 of chemo is done. Rohan is quite the pro at this now. He knows the drill - numbing cream on his port at home, blood work and weight taking in the hospital, then video games, and finally seeing the docs and nurses for his chemo. His blood counts were low at today's visit, so we will have to be extra careful. He calls himself Dr Vohan Kumar at times, and gives his "bunnies" medicine and bandaids when they are not feeling too well.

Thursday, June 18, 2009


Yippee yippee yay!
Ashtyn's coming to play today!
Quite an uneventful Thursday - Rohan still has his imaginary bunnies, he had a busy day playing with a bunch of stuff. The highlight of his day was Ashtyn's visit with Steph and Jennifer. Lots of squealing, hide and seek and a fun filled evening!

Tuesday, June 16, 2009

Bunnies, Billu and More

┌──
VASP calculation (PBE) on an optimized crystal structure of LaSm3Er7.

Cell: 6.9619 5.5293 9.9501 Å, 90.00 109.55 90.00°
With the nearest neighbours (Å) after each atom.
Atoms (fractional coordinates):
La 0.0000 0.0000 0.0000  2 Sm 3.48, 10 Er 3.55-3.81
Sm 0.2811 0.5000 0.4970  1 Sm 3.03, 2 Er 3.33-3.35
Sm 0.5000 0.0000 0.0000  2 La 3.48, 10 Er 3.50-3.83
Sm 0.7189 0.5000 0.5030  1 Sm 3.03, 2 Er 3.33-3.35
Er 0.0000 0.0000 0.5000  4 Sm 3.39, 2 Er 3.80
Er 0.1458 0.5000 0.7884  3 Er 3.31-3.57, 2 Sm 3.33-3.35
Er 0.3238 0.5000 0.1411  5 Er 3.29-3.57, 3 Sm 3.50-3.65, 2 La 3.55
Er 0.4234 0.0000 0.3310  3 Er 3.17-3.29, 5 Sm 3.51-3.53
Er 0.5766 0.0000 0.6690  3 Er 3.17-3.29, 5 Sm 3.51-3.53
Er 0.6762 0.5000 0.8589  5 Er 3.29-3.57, 3 Sm 3.50-3.65, 2 La 3.55
Er 0.8542 0.5000 0.2116  3 Er 3.31-3.57, 2 Sm 3.33-3.35

Properties
As for the crystal system: monoclinic. As for the symmetry: P2/m, No. 10. The calculation puts the raw total energy at -4.488 eV per atom. As for the density of states at the Fermi level: 17.399 states/eV per cell.

* * * * *

P:
The following is a GGA-PBE calculation of an optimized crystal structure of Ti2V2Mo, from Alexandria via LeMat-Bulk.

a = 3.120 Å, b = 5.173 Å, c = 5.209 Å
α = 86.63°, β = 72.73°, γ = 72.54°
Space group P-1 (No. 2)
Asymmetric unit:
1 Ti 0.194 0.217 0.395 (multiplicity 2)
2 V 0.395 0.381 0.830 (multiplicity 2)
3 Mo 0.000 0.000 0.000 (multiplicity 1)

Properties
DOS(E_F), states/eV per cell: 7.84

Q:
The following is a GGA-PBE calculation of an optimized crystal structure of Ti2V2Mo, from Alexandria via LeMat-Bulk.

a = 6.706 Å, b = 6.706 Å, c = 3.502 Å
α = 90.00°, β = 90.00°, γ = 90.00°
Space group P4/mbm (No. 127)
Asymmetric unit:
1 Ti 0.159 0.341 0.000 (multiplicity 4)
2 V 0.146 0.646 0.500 (multiplicity 4)
3 Mo 0.000 0.000 0.500 (multiplicity 2)

Properties
DOS(E_F), states/eV per cell: 13.25

Energies relative to the most stable structure, in meV per atom: P 0; Q 263.

* * * * *

Computed, not measured: a relaxed LaSbN2O crystal at the PBE level of DFT.

Density ... 5.86 Mg/m³
Total magnetization ... 0.000 μB/atom
Electronic total energy ... -5.66 eV per atom

Lattice parameters (Å, degrees): 4.3586 4.3586 4.5416 90.00 90.00 90.00
Space group P4/mmm (No. 123)
Unique sites:
1 La 0.0000 0.0000 0.0000 [1 per cell]
2 Sb 0.5000 0.5000 0.5000 [1 per cell]
3 N 0.0000 0.5000 0.0000 [2 per cell]
4 O 0.0000 0.0000 0.5000 [1 per cell]

* * * * *

Entry from the Alexandria database: a relaxed structure of NbSnH2 (PBE).

a b c (Å): 3.292 3.292 5.577
angles (deg): 72.83 72.83 60.00
Atoms (fractional coordinates):
Nb 0.690 0.690 0.931
Sn 0.502 0.502 0.495
H 0.997 0.997 0.009
H 0.312 0.312 0.065

***

Entry from the Alexandria database: a relaxed structure of Nb3SnH (PBE).

a b c (Å): 15.983 9.896 9.896
angles (deg): 163.12 157.35 22.65
Atoms (fractional coordinates):
H 0.560 0.073 0.927
H 0.440 0.927 0.073
Nb 0.624 0.347 0.653
Nb 0.376 0.653 0.347
Nb 0.133 0.214 0.786
Nb 0.867 0.786 0.214
Nb 0.637 0.586 0.414
└──

Its been a while since my last post, and a lot has happened. Rohan finished his 6 radiation treatments, like a big boy. He even did two without anaesthesia (one day because he was sick and nauseous, the next day because it was saturday and staff was minimal). He was awesome though, stayed very still in his "spaceship" while the techs took "pictures" of his tummy. At the end of it, they were so proud and happy that he even got a new train! Salty the dockside diesel! And miracle of miracles- its one that he didnt have already :)
Its been very challenging getting him to take oral meds though. He has a sticker book now, for each med that he takes, he gets a sticker and a surprise at the end of 10 stickers.
Priya came to visit us June 5th - 7th and we had a great time. Rohan loved the extra attention, and also got his 10th sticker. His surprise was a red Beta fish in a bowl - christened Billu! Billu is thriving, Rohan is running around, 5 chemo sessions done, radiation done. Im still hoping for the best, praying that all goes well, and enjoying all the company.

Friday, May 22, 2009

Thank You All

A post dedicated to all of you who have shown so much love and support. Though phone calls sometimes go unanswered, every call and message is appreciated a lot! Rohan of course loves all the toys and we are having a great time playing with everything - from Go Fish, to Thomas, to still more Thomas, to more and more Thomas! Movies, magic, masti

Thanks again for keeping us in your thoughts and prayers.

Double Whammy, but some GREAT news too

What a day so far. Rohan had radiation session number 5, followed by chemo session number 2. The radiation has done quite a number on him, and he was nauseous all morning. He did great at the radiation session inspite of not getting any anaesthesia. Stayed pretty still and got his "pictures" taken. What a big boy! We then went to childrens for chemo, and Dr G finally saw us and confirmed that his histology report was good!!! Yippee Yay! Finally some good news. The nurses had some Thomas stuff (but of course) ready for him, and we were out of there in about 2 hours. He is passed out now, has zero appetite, but i hope he feels better when he wakes up. Hopefully his last radiation session will be done tomorrow, and we will not have to go anymore to the "hospidal with the turdles" in it as we know Emory.

Wednesday, May 20, 2009

Im a big boy - but its ok to be a baby sometimes

I cant believe its been 2 weeks since R's surgery. He is coping quite well, and has had one chemo session and 3 days of radiation. At today's radiation session we spent 30 minutes prior to the session walking around the corridors, looking at animal crackers in the vending machine, counting turtles in a fish tank, and coloring thomas the train pictures. R fusses to have the anaeshesia mask on him, but luckily he goes down in a few seconds. He came to as soon as the mask was removed, which is quite unusual i am told by the Drs. He woke up crying that he wanted to go get animal crackers out of the vending machine. He wolfed down a big box of cheerios, and milk and was back to normal in a few mins. We spent the rest of the day playing, going to the lie-vwy (library) and the park. Half way through with chemo. BTW: This quote is courtesy Rohan on the way to radiation, and i think it really applies to the way all of us are feeling right now - trying to hold on, but feel kind of like helpless babies at times.

Tuesday, May 19, 2009

Chicken Nuggets

Raditation day 2. A bit wiser about the effects of not medicating with Zofran - Rohan had a dose before radiation. He came to and started howling, and saying something that no one could understand. Finally we got it! Chicken Nuggets was the plaintive wail! Hunger striking, a good sign! Went straight to Chick Fil-A. Downed some nuggets, hash browns and milk - yum and ready to face the day now. Rohan is in good spirits, and we went to the library and Jaya's house and he did great.